Was it just a lot of fuss that is coming to naught? Automologist MAC brings us the latest details.
Greenpeace activists protest the decision outside Berlin’s iconic Brandenburg Gate.
Germany and the European Union have reportedly reached a deal that will allow the production and registration of Internal Combustion Engines (ICE) after the planned phasing out of them by 2035. The provision, or what a lot of critics are calling a loophole, will allow for the manufacturing, sale, and registration of vehicles after what was supposed to be the death of new ICE vehicles.
The EU and Germany, which is Europe’s largest economy, had been arguing over the planned phasing out of CO2-emitting cars. Germany has more than 850,000 jobs manufacturing cars and whilst the manufacturers there had been racing to keep up with EV development, it has become clear that there has been a shift in the balance of automaking power towards the east and particularly China.
'''
Simulated PXRD pattern
Compound: Dy4Tl2Te
Radiation: λ = 1.5418 Å (Cu Kα)
Structure: a DFT-relaxed cell (PBE, Alexandria)

Cell and atoms:
Unit cell a=6.6467 b=6.5637 c=10.0811 alpha=90.00 beta=106.57 gamma=90.00
Atoms (fractional coordinates):
Dy 0.0241 0.0007 0.2702
Dy 0.0241 0.4993 0.2702
Dy 0.4067 0.2500 0.5523
Dy 0.4706 0.2500 0.1614
Dy 0.5294 0.7500 0.8386
Dy 0.5933 0.7500 0.4477
Dy 0.9759 0.5007 0.7298
Dy 0.9759 0.9993 0.7298
Tl 0.1045 0.7500 0.0130
Tl 0.1934 0.7500 0.5454
Tl 0.8066 0.2500 0.4546
Tl 0.8955 0.2500 0.9870
Te 0.3849 0.2500 0.8481
Te 0.6151 0.7500 0.1519

The 12 most intense peaks (2θ from 10° to 90°), by intensity:
31.2°, d = 2.866 Å, I 100; 33.0°, d = 2.715 Å, I 97; 33.8°, d = 2.656 Å, I 81; 32.0°, d = 2.800 Å, I 75; 35.8°, d = 2.508 Å, I 72; 27.2°, d = 3.280 Å, I 61; 34.6°, d = 2.592 Å, I 57; 30.6°, d = 2.917 Å, I 56; 29.5°, d = 3.026 Å, I 54; 38.0°, d = 2.366 Å, I 34; 56.0°, d = 1.641 Å, I 31; 28.0°, d = 3.185 Å, I 29

Simulated PXRD pattern
Compound: Ho13Al2
Radiation: λ = 1.5418 Å (Cu Kα)
Structure: a DFT-relaxed cell (PBE, Alexandria)

Cell and atoms:
Unit cell a=6.6090 b=8.4043 c=9.0274 alpha=63.57 beta=89.17 gamma=80.09
Atoms (fractional coordinates):
Ho 0.0000 0.0000 0.0000
Ho 0.0341 0.5000 0.7050
Ho 0.2325 0.0123 0.5693
Ho 0.2513 0.2072 0.1525
Ho 0.2796 0.6514 0.9576
Ho 0.4457 0.1705 0.8150
Ho 0.4724 0.3991 0.3785
Ho 0.5276 0.6009 0.6215
Ho 0.5543 0.8295 0.1850
Ho 0.7204 0.3486 0.0424
Ho 0.7487 0.7928 0.8475
Ho 0.7675 0.9877 0.4307
Ho 0.9659 0.5000 0.2950
Al 0.1617 0.7783 0.3629
Al 0.8383 0.2217 0.6371

The 12 most intense peaks (2θ from 10° to 90°), by intensity:
31.1°, d = 2.878 Å, I 100; 33.0°, d = 2.716 Å, I 94; 31.4°, d = 2.847 Å, I 68; 32.0°, d = 2.796 Å, I 60; 29.8°, d = 2.995 Å, I 35; 36.0°, d = 2.496 Å, I 35; 29.9°, d = 2.985 Å, I 33; 34.6°, d = 2.589 Å, I 31; 33.3°, d = 2.692 Å, I 29; 30.8°, d = 2.903 Å, I 26; 28.7°, d = 3.110 Å, I 25; 61.8°, d = 1.500 Å, I 19

Simulated PXRD pattern
Compound: Ba6MgIn3
Radiation: λ = 1.5418 Å (Cu Kα)
Structure: a DFT-relaxed cell (PBE, Alexandria)

Cell and atoms:
Unit cell a=10.7482 b=6.0676 c=13.7158 alpha=90.00 beta=108.78 gamma=90.00
Atoms (fractional coordinates):
Ba 0.0281 0.2500 0.4167
Ba 0.1492 0.7500 0.1714
Ba 0.2363 0.2500 0.9966
Ba 0.3263 0.7500 0.8059
Ba 0.3665 0.2500 0.3441
Ba 0.3896 0.2500 0.6270
Ba 0.6104 0.7500 0.3730
Ba 0.6335 0.7500 0.6559
Ba 0.6737 0.2500 0.1941
Ba 0.7637 0.7500 0.0034
Ba 0.8508 0.2500 0.8286
Ba 0.9719 0.7500 0.5833
Mg 0.4610 0.7500 0.0929
Mg 0.5390 0.2500 0.9071
In 0.0303 0.7500 0.8698
In 0.1092 0.2500 0.7196
In 0.2747 0.7500 0.4743
In 0.7253 0.2500 0.5257
In 0.8908 0.7500 0.2804
In 0.9697 0.2500 0.1302

The 12 most intense peaks (2θ from 10° to 90°), by intensity:
'''
Due to pressure from a number of manufacturers who have invested heavily in developing new e-fuels, cars manufactured to run solely on e-fuels and that only ever fill up with e-fuel will be allowed after the ban comes into effect, according to a Tweet by the German Minister of Transport, Voker Wissing.
-- begin --
This entry pairs a crystal structure of Ho8CoOs2 with its theoretical X-ray powder pattern. Radiation: λ = 1.5418 Å (Cu Kα). Structure: a structure optimized by DFT (GGA-PBE).
Intensities are scaled so that the largest is 100.

Peak list (12 most intense, 2θ = 10–80°, in order of rising 2θ)
d = 5.491 Å, 2θ 16.14, I 30
d = 3.322 Å, 2θ 26.84, I 27
d = 2.844 Å, 2θ 31.46, I 100
d = 2.784 Å, 2θ 32.15, I 26
d = 2.700 Å, 2θ 33.17, I 39
d = 2.689 Å, 2θ 33.32, I 49
d = 2.510 Å, 2θ 35.77, I 33
d = 2.493 Å, 2θ 36.03, I 26
d = 2.435 Å, 2θ 36.91, I 23
d = 2.291 Å, 2θ 39.33, I 36
d = 2.258 Å, 2θ 39.93, I 47
d = 2.214 Å, 2θ 40.75, I 23

Structure:
```
Ho8CoOs2
1.0
4.1772 -6.2030 0.0000
4.1772 6.2030 0.0000
-1.9651 0.0000 5.4907
Ho Co Os
8 1 2
direct
0.0000 0.0000 0.0000
0.0143 0.2754 0.5960
0.1478 0.5666 0.1886
0.2754 0.0143 0.5960
0.4297 0.6878 0.7991
0.5666 0.1478 0.1886
0.6878 0.4297 0.7991
0.7169 0.7169 0.3867
0.3623 0.3623 0.0434
0.0419 0.6638 0.7007
0.6638 0.0419 0.7007
```

***

This entry pairs a crystal structure of HoPaCo10 with its theoretical X-ray powder pattern. Radiation: λ = 1.5418 Å (Cu Kα). Structure: a structure optimized by DFT (GGA-PBE).
Intensities are scaled so that the largest is 100.

Peak list (12 most intense, 2θ = 10–80°, in order of rising 2θ)
d = 4.204 Å, 2θ 21.13, I 10
d = 4.001 Å, 2θ 22.22, I 12
d = 2.898 Å, 2θ 30.85, I 69
d = 2.428 Å, 2θ 37.03, I 36
d = 2.103 Å, 2θ 43.02, I 38
d = 2.075 Å, 2θ 43.61, I 100
d = 2.000 Å, 2θ 45.34, I 26
d = 1.544 Å, 2θ 59.92, I 18
d = 1.478 Å, 2θ 62.89, I 13
d = 1.449 Å, 2θ 64.28, I 22
d = 1.322 Å, 2θ 71.35, I 15
d = 1.215 Å, 2θ 78.80, I 9

Structure:
```
HoPaCo10
1.0
4.0005 0.0000 0.0000
0.0000 4.8485 0.0000
0.0000 0.0000 8.4209
Ho Pa Co
1 1 10
direct
0.0000 0.0000 0.0000
0.0000 0.5000 0.5000
0.0000 0.0000 0.3411
0.0000 0.0000 0.6589
0.0000 0.5000 0.1869
0.0000 0.5000 0.8131
0.5000 0.0000 0.5000
0.5000 0.2442 0.2460
0.5000 0.2442 0.7540
0.5000 0.5000 0.0000
0.5000 0.7558 0.2460
0.5000 0.7558 0.7540
```

***

- Number 2 is which compound?
  HoPaCo10

* * * * *

Diffraction record for Sr2CdCoO4. The XRD peak list is simulated, not measured: it uses a GGA+U-relaxed structure and λ = 1.5418 Å (Cu Kα).
Intensities are scaled so that the largest is 100.

Cell and atoms:
```
data_Sr2CdCoO4
_chemical_formula_sum 'Sr8 Cd4 Co4 O16'
_cell_length_a 9.764
_cell_length_b 9.588
_cell_length_c 6.930
_cell_angle_alpha 90.00
_cell_angle_beta 134.51
_cell_angle_gamma 90.00
_symmetry_space_group_name_H-M 'C 1 2/c 1'
_symmetry_Int_Tables_number 15
_symmetry_space_group_name_Hall '-C 2yc'
-- stop --
• Back to the article:
E-fuels are made by separating hydrogen from water and then adding purified Carbon Dioxide; throw in a bit of Fischer-Tropsch synthesising and, hey presto, you have gasoline. It is not exactly carbon-neutral but it can work in a relatively low carbon mode if the massive amounts of electricity required are produced by renewable sources. The hemp-trouser-wearing Greens don’t think so and are calling the agreement “a stinky compromise”.
The question is how would you guarantee that e-fuel cars only run on e-fuel? Most probably the EU will create a new car category where they can be manufactured if there is a sensor that would stop the car starting if fuelled with fossil fuel and not e-fuel. This last minute reprieve for the ICE was backed by Italy, Poland, Bulgaria and the Czech Republic, along with a number of car and oil companies, allegedly.
I am all for the loophole and not because I am not a fan of EVs, but because it seems to me that common sense is prevailing and people are now refusing to be steam-rolled by the EV lobby. Electrification of personal transportation is a part of the future for all of us, but current battery technology is not good enough and insufficient electric-generating capacity in most countries will stop it becoming a reality. Currently, for most of the world, driving an EV is just moving the point of pollution as hydrocarbons are still favoured in most countries’ worldwide electricity production. Heck, China is building some 60GW of new coal-fired plants as I type.
Between two parts of the piece: data records:
____________
This entry pairs a crystal structure of CsNiH6Pt with its simulated powder diffractogram. Radiation: Cu Kα (weighted mean of Kα1 and Kα2). Structure: a DFT-relaxed cell (PBE, Alexandria).
Peak positions follow from Bragg's law for the DFT cell and can differ from measured ones.

Cell and atoms:
```
data_CsNiH6Pt
_chemical_formula_sum 'Cs1 Ni1 H6 Pt1'
_symmetry_space_group_name_H-M 'P 1'
_symmetry_Int_Tables_number 1
_cell_length_a 4.719
_cell_length_b 4.719
_cell_length_c 6.278
_cell_angle_alpha 90.00
_cell_angle_beta 90.00
_cell_angle_gamma 120.00
loop_
_symmetry_equiv_pos_as_xyz
'x,y,z'
loop_
_atom_site_label
_atom_site_type_symbol
_atom_site_fract_x
_atom_site_fract_y
_atom_site_fract_z
_atom_site_occupancy
Cs1 Cs 0.000 0.000 0.000 1
Ni1 Ni 0.333 0.667 0.500 1
H1 H 0.366 0.001 0.368 1
H2 H 0.366 0.365 0.632 1
H3 H 0.635 0.001 0.632 1
H4 H 0.635 0.634 0.368 1
H5 H 0.999 0.365 0.368 1
H6 H 0.999 0.634 0.632 1
Pt1 Pt 0.667 0.333 0.500 1
```

Most intense lines, 2θ = 10–90°, low angle first:
2θ (°)	d [Å]	Rel. int.
14.1	6.278	16
26.0	3.425	100
28.4	3.139	25
38.1	2.360	34
46.7	1.943	20
48.2	1.886	35
48.9	1.863	18
61.9	1.500	18

This entry pairs a crystal structure of LiScCd4 with its simulated powder diffractogram. Radiation: Cu Kα (weighted mean of Kα1 and Kα2). Structure: a DFT-relaxed cell (PBE, Alexandria).
Peak positions follow from Bragg's law for the DFT cell and can differ from measured ones.

Cell and atoms:
```
data_LiScCd4
_chemical_formula_sum 'Li1 Sc1 Cd4'
_symmetry_space_group_name_H-M 'P 1'
_symmetry_Int_Tables_number 1
_cell_length_a 5.798
_cell_length_b 5.798
_cell_length_c 6.410
_cell_angle_alpha 123.41
_cell_angle_beta 123.41
_cell_angle_gamma 49.64
loop_
_symmetry_equiv_pos_as_xyz
'x,y,z'
loop_
_atom_site_label
_atom_site_type_symbol
_atom_site_fract_x
_atom_site_fract_y
_atom_site_fract_z
_atom_site_occupancy
Li1 Li 0.000 0.000 0.000 1
Sc1 Sc 0.000 0.000 0.500 1
Cd1 Cd 0.332 0.332 0.083 1
Cd2 Cd 0.333 0.333 0.581 1
Cd3 Cd 0.667 0.667 0.419 1
Cd4 Cd 0.668 0.668 0.917 1
```

Most intense lines, 2θ = 10–90°, low angle first:
2θ (°)	d [Å]	Rel. int.
21.1	4.207	51
27.8	3.205	70
35.2	2.549	87
36.9	2.434	51
37.2	2.420	100
46.9	1.938	33
47.0	1.933	33
47.1	1.929	32

This entry pairs a crystal structure of Pm12Dy2Mg with its simulated powder diffractogram. Radiation: Cu Kα (weighted mean of Kα1 and Kα2). Structure: a DFT-relaxed cell (PBE, Alexandria).
Peak positions follow from Bragg's law for the DFT cell and can differ from measured ones.

Cell and atoms:
```
data_Pm12Dy2Mg
_chemical_formula_sum 'Pm24 Dy4 Mg2'
_symmetry_space_group_name_H-M 'P 1'
_symmetry_Int_Tables_number 1
_cell_length_a 6.621
_cell_length_b 6.621
_cell_length_c 24.292
_cell_angle_alpha 90.00
_cell_angle_beta 90.00
_cell_angle_gamma 90.00
loop_
_symmetry_equiv_pos_as_xyz
'x,y,z'
loop_
_atom_site_label
_atom_site_type_symbol
_atom_site_fract_x
_atom_site_fract_y
_atom_site_fract_z
_atom_site_occupancy
Pm1 Pm 0.012 0.512 0.100 1
Pm2 Pm 0.012 0.988 0.900 1
____________
Here the piece continues:
Is this the end of the Electric Car? Probably not.